• Contents:
-- begin --
# 1
An optimized crystal structure of CoAgI2O. Source: Alexandria via LeMat-Bulk, functional PBE with a Hubbard U.

- Final energy: -2.5811 eV/atom

```
data_CoAgI2O
_symmetry_space_group_name_H-M 'P 1'
_symmetry_Int_Tables_number 1
_cell_length_a 5.703
_cell_length_b 5.703
_cell_length_c 4.010
_cell_angle_alpha 90.00
_cell_angle_beta 90.00
_cell_angle_gamma 90.00
loop_
_symmetry_equiv_pos_as_xyz
'x,y,z'
loop_
_atom_site_label
_atom_site_type_symbol
_atom_site_fract_x
_atom_site_fract_y
_atom_site_fract_z
Co1 Co 0.000 0.000 0.000
Ag1 Ag 0.500 0.500 0.500
I1 I 0.000 0.500 0.500
I2 I 0.500 0.000 0.500
O1 O 0.500 0.500 0.000
```



# 2
An optimized crystal structure of CoAgI2O. Source: Alexandria via LeMat-Bulk, functional PBE with a Hubbard U.

- Final energy: -3.3083 eV/atom

```
data_CoAgI2O
_symmetry_space_group_name_H-M 'P 1'
_symmetry_Int_Tables_number 1
_cell_length_a 5.769
_cell_length_b 5.769
_cell_length_c 3.582
_cell_angle_alpha 90.00
_cell_angle_beta 90.00
_cell_angle_gamma 90.00
loop_
_symmetry_equiv_pos_as_xyz
'x,y,z'
loop_
_atom_site_label
_atom_site_type_symbol
_atom_site_fract_x
_atom_site_fract_y
_atom_site_fract_z
Co1 Co 0.000 0.000 0.000
Ag1 Ag 0.500 0.500 0.500
I1 I 0.000 0.500 0.000
I2 I 0.500 0.000 0.000
O1 O 0.000 0.000 0.500
```



# 3
An optimized crystal structure of CoAgIO2. Source: Alexandria via LeMat-Bulk, functional PBE with a Hubbard U.

- Final energy: -3.3096 eV/atom

```
data_CoAgIO2
_symmetry_space_group_name_H-M 'P 1'
_symmetry_Int_Tables_number 1
_cell_length_a 3.970
_cell_length_b 3.970
_cell_length_c 6.981
_cell_angle_alpha 90.00
_cell_angle_beta 90.00
_cell_angle_gamma 90.00
loop_
_symmetry_equiv_pos_as_xyz
'x,y,z'
loop_
_atom_site_label
_atom_site_type_symbol
_atom_site_fract_x
_atom_site_fract_y
_atom_site_fract_z
Co1 Co 0.000 0.000 0.000
Ag1 Ag 0.500 0.500 0.500
I1 I 0.500 0.500 0.000
O1 O 0.000 0.500 0.500
O2 O 0.500 0.000 0.500
```



# 4
An optimized crystal structure of CoAgIO2. Source: Alexandria via LeMat-Bulk, functional PBE with a Hubbard U.

- Final energy: -3.9459 eV/atom

```
data_CoAgIO2
_symmetry_space_group_name_H-M 'P 1'
_symmetry_Int_Tables_number 1
_cell_length_a 3.862
_cell_length_b 3.862
_cell_length_c 6.261
_cell_angle_alpha 90.00
_cell_angle_beta 90.00
_cell_angle_gamma 90.00
loop_
_symmetry_equiv_pos_as_xyz
'x,y,z'
loop_
_atom_site_label
_atom_site_type_symbol
_atom_site_fract_x
_atom_site_fract_y
_atom_site_fract_z
Co1 Co 0.000 0.000 0.000
Ag1 Ag 0.500 0.500 0.500
I1 I 0.000 0.000 0.500
O1 O 0.000 0.500 0.000
O2 O 0.500 0.000 0.000
```


[1]
CoMoW (PBE, relaxed); DFT total energy = -10.0252 eV/atom; SG = Imm2 (44); volume = 14.4 Å³ per atom; size of the total moment = 0.62 μB/f.u.; E above lowest polymorph = 265.5 meV per atom; density of states at the Fermi level = 1.150 states/eV/atom
1.0
5.035 0.191 -0.072
2.924 4.104 0.072
-3.668 -2.724 2.125
Co Mo W
1 1 1
direct
0.004 0.004 0.000
0.341 0.341 0.000
0.655 0.655 0.000



[2]
CsRb2Pb (PBE, relaxed); DFT total energy = -1.6140 eV/atom; SG = R3m (160); volume = 63.8 Å³ per atom; size of the total moment = 1.05 μB/f.u.; density of states at the Fermi level = 0.751 states/eV/atom
1.0
-4.192 5.001 -0.347
-6.374 -1.135 -0.893
-4.428 1.003 6.416
Cs Rb Pb
1 2 1
direct
0.490 0.490 0.530
0.032 0.032 0.903
0.280 0.280 0.160
0.698 0.698 0.906



[3]
Cs2Cu3Cl8 (PBE, relaxed); DFT total energy = -3.1463 eV/atom; raw formation energy = -0.933 eV/atom; SG = C2/m (12); volume = 30.8 Å³ per atom; size of the total moment = 0.62 μB/f.u.; E above lowest polymorph = 0.0 meV per atom; density of states at the Fermi level = 0.642 states/eV/atom
1.0
6.913 0.000 -0.066
0.000 8.264 0.000
-2.826 -4.132 7.026
Cs Cu Cl
2 3 8
direct
0.337 0.270 0.539
0.663 0.730 0.461
0.500 0.000 0.000
0.000 0.315 0.000
0.000 0.685 0.000
0.026 0.620 0.241
0.974 0.380 0.759
0.752 0.146 0.291
0.248 0.854 0.709
0.677 0.722 0.879
0.677 0.157 0.879
0.323 0.843 0.121
0.323 0.278 0.121



[4]
-- stop --

• Request:
Next, work out how many lines further above have the word "CsRb2Pb" in them; a number is enough.

• Worked solution:
1